Given.
A relaxed structure of Sm2Tc3C2, computed with PBE-GGA.

## Properties
spin magnetization = 0.000 Bohr magnetons per cell

a = 3.144 Å, b = 5.305 Å, c = 7.604 Å
α = 117.50°, β = 90.00°, γ = 107.24°
Fractional coordinates of all 7 atoms:
Sm 0.155 0.309 0.781
Sm 0.845 0.691 0.219
C 0.873 0.745 0.754
C 0.127 0.255 0.246
Tc 0.366 0.733 0.563
Tc 0.634 0.267 0.437
Tc 0.500 0.000 0.000

---

A relaxed structure of Ir3Au5, computed with PBE-GGA.

## Properties
spin magnetization = 0.000 Bohr magnetons per cell

a = 7.926 Å, b = 7.926 Å, c = 5.124 Å
α = 90.00°, β = 90.00°, γ = 120.00°
Fractional coordinates of all 16 atoms:
Ir 0.416 0.000 0.750
Ir 0.416 0.416 0.250
Ir 0.584 0.000 0.250
Ir 0.000 0.584 0.250
Ir 0.000 0.416 0.750
Ir 0.584 0.584 0.750
Au 0.667 0.333 0.500
Au 0.667 0.333 0.000
Au 0.779 0.779 0.250
Au 0.221 0.221 0.750
Au 0.221 0.000 0.250
Au 0.333 0.667 0.500
Au 0.000 0.779 0.750
Au 0.333 0.667 0.000
Au 0.779 0.000 0.750
Au 0.000 0.221 0.250

---

A relaxed structure of La8Mg3Ni2, computed with PBE-GGA.

## Properties
spin magnetization = 0.000 Bohr magnetons per cell

a = 3.897 Å, b = 11.053 Å, c = 10.572 Å
α = 121.52°, β = 99.14°, γ = 90.00°
Fractional coordinates of all 13 atoms:
La 0.311 0.576 0.152
La 0.285 0.559 0.667
La 0.231 0.175 0.351
La 0.769 0.825 0.649
La 0.715 0.441 0.333
La 0.285 0.108 0.667
La 0.715 0.892 0.333
La 0.689 0.424 0.848
Mg 0.500 0.000 0.000
Mg 0.000 0.222 0.000
Mg 0.000 0.778 0.000
Ni 0.135 0.714 0.427
Ni 0.865 0.286 0.573

---

A relaxed structure of La4BiTeN, computed with PBE-GGA.

## Properties
raw formation energy = -25.54 kcal/mol of atoms
spin magnetization = 0.001 Bohr magnetons per cell

a = 6.723 Å, b = 6.791 Å, c = 9.740 Å
α = 90.00°, β = 110.19°, γ = 90.00°
Fractional coordinates of all 14 atoms:
La 0.000 0.500 0.500
La 0.500 0.500 0.500
La 0.419 0.750 0.838
La 0.929 0.250 0.859
La 0.000 0.000 0.500
La 0.581 0.250 0.162
La 0.071 0.750 0.141
La 0.500 0.000 0.500
Bi 0.609 0.750 0.218
Bi 0.391 0.250 0.782
N 0.706 0.250 0.411
N 0.294 0.750 0.589
Te 0.889 0.750 0.779
Te 0.111 0.250 0.221

---

A relaxed structure of Dy6Ho12Mg, computed with PBE-GGA.

## Properties
polymorph energy (0 for the lowest one) = 0.0040 eV/atom
spin magnetization = 0.003 Bohr magnetons per cell

a = 8.554 Å, b = 8.554 Å, c = 8.554 Å
α = 97.36°, β = 97.36°, γ = 97.36°
Fractional coordinates of all 19 atoms:
Ho 0.262 0.738 0.000
Ho 0.167 0.589 0.589
Ho 0.000 0.738 0.262
Ho 0.411 0.833 0.411
Ho 0.000 0.262 0.738
Ho 0.262 0.000 0.738
Ho 0.738 0.000 0.262
Ho 0.589 0.167 0.589
Ho 0.589 0.589 0.167
Ho 0.833 0.411 0.411
Ho 0.411 0.411 0.833
Ho 0.738 0.262 0.000
Mg 0.000 0.000 0.000
Dy 0.864 0.591 0.864
Dy 0.591 0.864 0.864
Dy 0.864 0.864 0.591
Dy 0.136 0.409 0.136
Dy 0.409 0.136 0.136
Dy 0.136 0.136 0.409

---

A relaxed structure of SiAsRh2, computed with PBE-GGA.

## Properties
raw formation energy = -5.65 kcal/mol of atoms
spin magnetization = 0.000 Bohr magnetons per cell

a = 5.183 Å, b = 5.183 Å, c = 5.183 Å
α = 139.49°, β = 139.49°, γ = 58.63°
Fractional coordinates of all 4 atoms:
Rh 0.000 0.000 0.000
Rh 0.250 0.750 0.500
As 0.750 0.250 0.500
Si 0.500 0.500 0.000

---

A relaxed structure of RbThTl2Te4, computed with PBE-GGA.
Job.
The reader should find the line above that holds "0.437", then repeat that line and all lines after it there.
Written answer.
Tc 0.634 0.267 0.437
Tc 0.500 0.000 0.000

---

A relaxed structure of Ir3Au5, computed with PBE-GGA.

## Properties
spin magnetization = 0.000 Bohr magnetons per cell

a = 7.926 Å, b = 7.926 Å, c = 5.124 Å
α = 90.00°, β = 90.00°, γ = 120.00°
Fractional coordinates of all 16 atoms:
Ir 0.416 0.000 0.750
Ir 0.416 0.416 0.250
Ir 0.584 0.000 0.250
Ir 0.000 0.584 0.250
Ir 0.000 0.416 0.750
Ir 0.584 0.584 0.750
Au 0.667 0.333 0.500
Au 0.667 0.333 0.000
Au 0.779 0.779 0.250
Au 0.221 0.221 0.750
Au 0.221 0.000 0.250
Au 0.333 0.667 0.500
Au 0.000 0.779 0.750
Au 0.333 0.667 0.000
Au 0.779 0.000 0.750
Au 0.000 0.221 0.250

---

A relaxed structure of La8Mg3Ni2, computed with PBE-GGA.

## Properties
spin magnetization = 0.000 Bohr magnetons per cell

a = 3.897 Å, b = 11.053 Å, c = 10.572 Å
α = 121.52°, β = 99.14°, γ = 90.00°
Fractional coordinates of all 13 atoms:
La 0.311 0.576 0.152
La 0.285 0.559 0.667
La 0.231 0.175 0.351
La 0.769 0.825 0.649
La 0.715 0.441 0.333
La 0.285 0.108 0.667
La 0.715 0.892 0.333
La 0.689 0.424 0.848
Mg 0.500 0.000 0.000
Mg 0.000 0.222 0.000
Mg 0.000 0.778 0.000
Ni 0.135 0.714 0.427
Ni 0.865 0.286 0.573

---

A relaxed structure of La4BiTeN, computed with PBE-GGA.

## Properties
raw formation energy = -25.54 kcal/mol of atoms
spin magnetization = 0.001 Bohr magnetons per cell

a = 6.723 Å, b = 6.791 Å, c = 9.740 Å
α = 90.00°, β = 110.19°, γ = 90.00°
Fractional coordinates of all 14 atoms:
La 0.000 0.500 0.500
La 0.500 0.500 0.500
La 0.419 0.750 0.838
La 0.929 0.250 0.859
La 0.000 0.000 0.500
La 0.581 0.250 0.162
La 0.071 0.750 0.141
La 0.500 0.000 0.500
Bi 0.609 0.750 0.218
Bi 0.391 0.250 0.782
N 0.706 0.250 0.411
N 0.294 0.750 0.589
Te 0.889 0.750 0.779
Te 0.111 0.250 0.221

---

A relaxed structure of Dy6Ho12Mg, computed with PBE-GGA.

## Properties
polymorph energy (0 for the lowest one) = 0.0040 eV/atom
spin magnetization = 0.003 Bohr magnetons per cell

a = 8.554 Å, b = 8.554 Å, c = 8.554 Å
α = 97.36°, β = 97.36°, γ = 97.36°
Fractional coordinates of all 19 atoms:
Ho 0.262 0.738 0.000
Ho 0.167 0.589 0.589
Ho 0.000 0.738 0.262
Ho 0.411 0.833 0.411
Ho 0.000 0.262 0.738
Ho 0.262 0.000 0.738
Ho 0.738 0.000 0.262
Ho 0.589 0.167 0.589
Ho 0.589 0.589 0.167
Ho 0.833 0.411 0.411
Ho 0.411 0.411 0.833
Ho 0.738 0.262 0.000
Mg 0.000 0.000 0.000
Dy 0.864 0.591 0.864
Dy 0.591 0.864 0.864
Dy 0.864 0.864 0.591
Dy 0.136 0.409 0.136
Dy 0.409 0.136 0.136
Dy 0.136 0.136 0.409

---

A relaxed structure of SiAsRh2, computed with PBE-GGA.

## Properties
raw formation energy = -5.65 kcal/mol of atoms
spin magnetization = 0.000 Bohr magnetons per cell

a = 5.183 Å, b = 5.183 Å, c = 5.183 Å
α = 139.49°, β = 139.49°, γ = 58.63°
Fractional coordinates of all 4 atoms:
Rh 0.000 0.000 0.000
Rh 0.250 0.750 0.500
As 0.750 0.250 0.500
Si 0.500 0.500 0.000

---

A relaxed structure of RbThTl2Te4, computed with PBE-GGA.